How to hire the best web development agency?

Do you want to hire developers in UK for your next project? Hiring the right people is one of the most critical components of a company's success and it is no rocket science. The tricky part is finding one that is not only suitable, but ideal fit for you, capable of understanding your requirements and delivering them to you.

They are the ones who deliver excellent work, generate fascinating ideas, overall improve processes and embrace the company's value and culture. Indeed, companies are all about their people. Many people start their own business ranging from a shop to a software company and they are aware of the fact that an impressive website of their business would have a great impact on the sales. And one of the reasons is that talented web development agencies are in high demand now. Everyone needs them and one which works synchronously with companies beliefs are hard to find.

All web development projects are different and without knowing the size and goals of the project, it is hard to give you clear guidance on which web developers will suit your project the best. Below, there are the most common steps mentioned to follow for hiring a web development agency that will suit small, medium and large sized projects.

Scoping The Project

The first and really crucial step in starting with development of a website is knowing your own requirements. Having a clearly thought out approach and defining the framework you want is essential for communication with the potential web development agencies you are looking to hire. So get started with your homework first!

Defining the Development Needs

Web development is a broad term and encompasses various things. Having clearly defined product requirements not only helps you get a clear idea of what you are hiring for but also is instrumental in narrowing down the choices among the prospective web development agencies.

For instance, you need a web application to be developed alongside the website, this would automatically eliminate the companies that solely offer web development as they don’t meet your requirements. You can choose to hire web app developers in UK and get an amazing solution delivered.

Building a Roadmap for Developers

A creative brief and project requirement documents are a must for building a roadmap for web development. The project requirement documents are essentially the backbone of the project. It contains the project outline, goals, product specifications, features and technical details that you wish to be incorporated by the web development agency into the final product.

This roadmap not only helps the website development team to better understand your needs but it also leads them to give you a better estimate about the time and the resources that would be required by them to complete the project.

Drawing a Framework

Nobody knows the requirements and the desired framework of your website better than you do, so drawing a basic framework of the design you have in mind constitutes the best practices. Jot down the list of features you want the web development agency to incorporate into your project.

Choosing A Web Development Company

Once you have shortlisted a list of prospective companies, focusing on certain guidelines can be influential. Here are the things you need to keep in consideration when making a selection.

Company’s own website

How the agency has designed and developed its own website will act as a screener for you. An agency that doesn’t put in the extra efforts to develop their own website isn’t one that would likely go an extra mile to ensure the success of your project either.
The things to look for are the functionality of the site, visual aesthetics, how updated it appears and the user experience it provides.

Work experience

Several niches like eCommerce require a complex development process both frontend and backend, so a web development agency that has work experience in the niche of your business is definitely an advantage. They are likely to be aware of the needs and the challenges designing and developing for you would pose.

(These records of crystals were left in the piece by mistake)
-- begin --
# 1
# TaFe3Pd PBE optimized geometry
data_TaFe3Pd
_chemical_formula_sum 'Ta1 Fe3 Pd1'
_cell_length_a 4.486
_cell_length_b 4.486
_cell_length_c 4.486
_cell_angle_alpha 90.00
_cell_angle_beta 90.00
_cell_angle_gamma 90.00
_symmetry_space_group_name_H-M 'P m -3 m'
_symmetry_Int_Tables_number 221
_symmetry_space_group_name_Hall '-P 4 2 3'
loop_
_atom_site_label
_atom_site_type_symbol
_atom_site_fract_x
_atom_site_fract_y
_atom_site_fract_z
_atom_site_occupancy
Ta1 Ta 0.000 0.000 0.000 1
Fe1 Fe 0.000 0.000 0.500 1
Pd1 Pd 0.500 0.500 0.500 1
# Total energy = -7.041 eV per atom
# DFT formation energy = 1.446 eV/atom

# 2
# Na2SrCuBr5 PBE optimized geometry
data_Na2SrCuBr5
_chemical_formula_sum 'Na8 Sr4 Cu4 Br20'
_cell_length_a 4.230
_cell_length_b 19.674
_cell_length_c 13.208
_cell_angle_alpha 90.00
_cell_angle_beta 90.00
_cell_angle_gamma 90.00
_symmetry_space_group_name_H-M 'C m c 21'
_symmetry_Int_Tables_number 36
loop_
_symmetry_equiv_pos_as_xyz
'x,y,z'
'-x,-y,z+1/2'
'-x,y,z'
'x,-y,z+1/2'
'x+1/2,y+1/2,z'
'-x+1/2,-y+1/2,z+1/2'
'-x+1/2,y+1/2,z'
'x+1/2,-y+1/2,z+1/2'
loop_
_atom_site_label
_atom_site_type_symbol
_atom_site_fract_x
_atom_site_fract_y
_atom_site_fract_z
_atom_site_occupancy
Na1 Na 0.000 0.074 0.000 1
Na2 Na 0.000 0.103 0.689 1
Sr1 Sr 0.000 0.203 0.386 1
Cu1 Cu 0.000 0.429 0.770 1
Br1 Br 0.000 0.046 0.363 1
Br2 Br 0.000 0.307 0.722 1
Br3 Br 0.000 0.311 0.048 1
Br4 Br 0.000 0.360 0.365 1
Br5 Br 0.000 0.499 0.616 1
# Total energy = -3.280 eV per atom
# Raw formation energy = -12.7 eV per formula unit


Material: LiH3F
Method: DFT, PBE
State: relaxed

Values from the calculation:
Calculated density   1.055 g/cm³
Distance to the lowest polymorph of the same formula   0 meV per atom

Cell lengths 3.5726, 3.5726, 3.5726 Å; angles 90.00, 90.00, 90.00 degrees
Last column: nearest neighbours and their distance in Å.
Space group Pm-3m (No. 221)
Symmetry-distinct sites (fractional):
Li (0.0000, 0.0000, 0.0000) (multiplicity 1)  12 H 2.53
H (0.0000, 0.5000, 0.5000) (multiplicity 3)  2 F 1.79
F (0.5000, 0.5000, 0.5000) (multiplicity 1)  6 H 1.79

***

Material: Li4HF2
Method: DFT, PBE
State: relaxed

Values from the calculation:
Calculated density   1.339 g/cm³
Distance to the lowest polymorph of the same formula   0 meV per atom

Cell lengths 3.3388, 3.3388, 14.8539 Å; angles 90.00, 90.00, 90.00 degrees
Last column: nearest neighbours and their distance in Å.
Space group I4/mmm (No. 139)
Symmetry-distinct sites (fractional):
Li (0.0000, 0.0000, 0.1587) (multiplicity 4)  1 H 2.36, 4 F 2.59
Li (0.0000, 0.5000, 0.0000) (multiplicity 4)  2 H 1.67
H (0.0000, 0.0000, 0.0000) (multiplicity 2)  4 Li 1.67
F (0.0000, 0.0000, 0.4125) (multiplicity 4)  4 Li 2.12

***

| no. | VASP energy (eV/atom) | total magnetic moment (μB per atom) |
| --- | --- | --- |
| 1 | -2.169 | 0.249 |
| 2 | -3.601 | 0.000 |


1.
AcCd4Hg3: relaxed, GGA-PBE.

POSCAR file:
```
AcCd4Hg3
1.0
4.720 0.000 0.000
0.000 4.720 0.000
0.000 0.000 9.604
Ac Hg Cd
1 3 4
Direct
0.000 0.000 0.500
-- stop --

Experience is the difference between a good developer and a great one.

Cost-Value equation

As with any other product of the market, the higher the price, the better the quality is. It is up to you to determine what value proposition would be most beneficial to you.

Pricing is calculated keeping the following three factors in consideration: technology used, experience of the company, developer’s skills. Higher prices generally result in better outputs. So the best approach is to decide on your budget range and then look for agencies willing to work within the specified price range.

********
{
  "formula": "Al2Fe2Co2IrPt",
  "functional": "GGA-PBE",
  "state": "relaxed",
  "lattice_angstrom": [[4.184, 0.000, 0.000], [0.000, 4.184, 0.000], [0.000, 0.000, 5.923]],
  "species": ["Fe", "Al", "Al", "Fe", "Co", "Ir", "Co", "Pt"],
  "fractional_positions": [[0.500, 0.000, 0.245], [0.000, 0.500, 0.248], [0.500, 0.000, 0.752], [0.000, 0.500, 0.755], [0.000, 0.000, 0.500], [0.000, 0.000, 0.000], [0.500, 0.500, 0.000], [0.500, 0.500, 0.500]],
  "crystal_system": "tetragonal",
  "spacegroup": "No. 115",
  "e_tot_ev_per_cell": -56.680
}

=====

Entry 1:
VASP calculation (GGA-PBE) on crystalline Pm12Dy5Tl2 at its relaxed geometry.

The value obtained for the uncorrected energy is -4.446 eV/atom. The value obtained for the volume is 625.2 Å³ per cell. The value obtained for the density of states at the Fermi level is 26.94 states/eV/f.u. Its total magnetic moment is 0.0 μB/f.u.

```
19
Lattice="7.7588 -4.7042 0.0000 7.7588 4.7042 0.0000 -0.4492 0.0000 8.5642" Properties=species:S:1:pos:R:3 pbc="T T T"
Pm 0.7275 0.0000 2.7275
Pm 5.6902 2.8738 2.9482
Pm 5.0771 1.7391 6.5543
Pm 9.3781 2.8738 5.6159
Pm 6.4112 0.0000 0.9881
Pm 9.9912 1.7391 2.0099
Pm 5.0771 -1.7391 6.5543
Pm 8.6571 0.0000 7.5760
Pm 5.6902 -2.8738 2.9482
Pm 9.9912 -1.7391 2.0099
Pm 9.3781 -2.8738 5.6159
Pm 14.3408 0.0000 5.8367
Dy 2.8724 0.0000 0.0381
Dy 3.9626 0.0000 3.5497
Dy 7.5342 0.0000 4.2821
Dy 11.1057 0.0000 5.0145
Dy 12.1960 0.0000 8.5261
Tl 7.7588 2.9755 0.0000
Tl 7.7588 -2.9755 0.0000
```

Entry 2:
VASP calculation (GGA-PBE) on crystalline Pm4Dy15Tl at its relaxed geometry.

The value obtained for the uncorrected energy is -4.535 eV/atom. The value obtained for the volume is 629.5 Å³ per cell. The value obtained for the density of states at the Fermi level is 24.07 states/eV/f.u. Its total magnetic moment is 0.0 μB/f.u.

```
20
Lattice="4.9888 0.0000 0.0000 0.0000 4.9888 0.0000 0.0000 0.0000 25.2915" Properties=species:S:1:pos:R:3 pbc="T T T"
Pm 0.0000 0.0000 2.5519
Pm 0.0000 0.0000 7.6398
Pm 0.0000 0.0000 17.6516
Pm 0.0000 0.0000 22.7396
Dy 0.0000 2.4944 0.0000
Dy 0.0000 2.4944 5.1022
Dy 0.0000 2.4944 10.2050
Dy 0.0000 2.4944 15.0864
Dy 0.0000 2.4944 20.1893
Dy 2.4944 0.0000 0.0000
Dy 2.4944 0.0000 5.1022
Dy 2.4944 0.0000 10.2050
Dy 2.4944 0.0000 15.0864
Dy 2.4944 0.0000 20.1893
Dy 2.4944 2.4944 2.5680
Dy 2.4944 2.4944 7.7132
Dy 2.4944 2.4944 12.6457
Dy 2.4944 2.4944 17.5783
Dy 2.4944 2.4944 22.7234
Tl 0.0000 0.0000 12.6457
```

Entry 3:
VASP calculation (GGA-PBE) on crystalline Pm6DyTl2 at its relaxed geometry.

The value obtained for the uncorrected energy is -4.355 eV/atom. The value obtained for the volume is 288.9 Å³ per cell. The value obtained for the density of states at the Fermi level is 11.27 states/eV/f.u. Its total magnetic moment is 0.0 μB/f.u.

```
9
Lattice="6.5611 -1.9104 0.0000 6.5611 1.9104 0.0000 -3.7603 0.0000 11.5261" Properties=species:S:1:pos:R:3 pbc="T T T"
Pm -1.0955 0.0000 3.9576
Pm 2.4822 0.0000 4.7277
Pm 3.6820 0.0000 1.4270
********

Getting to know the team

It is important for you to understand who exactly would be the people working on your project. Meeting with the project manager and developers who would be working on the project not only helps establish concrete channels of communication but also helps determine credibility and establish trust in the agency.

Selecting The Right Technology Stack

A technology stack is the set of programming languages, frameworks and tools which are used by the developers for web development. It consists of a number of distinct layers of components used to build web and mobile apps. All applications consist of two main components, the client side, also known as front end and server side, also known as back end.

The front end, where the user interaction with the website occurs, consists of three main languages: HTML, CSS and JavaScript and the back end comprises the database, operating system, web server, programming language and web framework.

The selection of the tech stack depends on the type of application being developed. Before deciding which tech stack that would be suitable for you, let’s do a quick run through of the popular tech stacks available.

LAMP stack: It is an abbreviation of Linux, Apache, MySQL and PHP.

It runs on the Linux OS, Apache HTTP server, MySQL DBMS and PHP programming language as well. LAMP works great in the creation of dynamic web applications.

MEAN stack: It is an abbreviation of MongoDB, Express.js, Angular JS and Node.js.

MongoDB is a NoSQL database, AngularJS is a JavaScript MVC framework and Express.js is a web application framework that runs on Node.js execution domain.

Python/Django: Django is a back end framework written in Python programming language.

The transparent coding ensures that the development process is both efficient and quick.

Python/Django is the tech stack of choice for designing the MVP, minimum viable product that contains all the necessary tools for future development and scalability. It can also connect to the third party applications and hence, accelerate the development process further.

No matter what your requirements may be, you should hire developers in UK who are experienced enough to meet your exact business needs. The expert professionals should be able to help you achieve the maximum ROI.